Embedded System Project — Blinking LED
Pada projek kali ini, Saya akan mencoba untuk menyalakan lampu LED Built-in pada board ESP-32 dan lampu LED eksternal dengan menggunakan Arduino IDE. Pada projek ini, saya mengerjakannya bersama teman saya Afkar Dhiya Ulhaq dan Ammardito Shafaat
Setup Environment
The steps required are:
1. Set Up Arduino IDE
- Download and install Arduino IDE (latest version), link : https://www.arduino.cc/en/software
- Install ESP-32 board in Arduino IDE
The steps required are:
- Click “File” in the top right corner and then select “Preferences”
- Copy the following link : https://raw.githubusercontent.com/espressif/arduino-esp32/gh-pages/package_esp32_index.json and paste it to the “Additional Board Manager URLs”
3. Download USB to UART bridge, link : https://www.silabs.com/developers/usb-to-uart-bridge-vcp-drivers, it will help Arduino IDE to read the ESP-32 Board.
*You just have to extract the files
4. Set your Arduino IDE settings
The steps required are:
## Molecular data from another source follow
********
C28H57F3N4O14PS | ωB97M-V/def2-TZVPD

Calculated values
- HOMO-LUMO gap: 6.76 eV
- Largest force on an atom: 9.35 eV/Å
- LUMO level: 0.0411 hartree
- Energy: -3412.0600 hartree
- HOMO energy: -5.65 eV

```
! wB97M-V def2-TZVPD RIJCOSX def2/J DEFGRID3
* xyz -1 1
S -2.00192 0.72134 1.49604
P -1.25919 -3.10496 3.20271
F -1.34374 0.47281 -1.25660
F -1.39764 2.67321 -0.33317
F -3.44594 1.54135 -0.80695
O 0.53105 8.43692 2.62234
O -3.42435 -3.88458 0.80126
O 0.94005 -4.73178 -0.36659
O 4.21057 -1.51269 -1.66640
O -4.83057 -4.75510 -5.82871
O -3.49945 -0.49254 -5.06610
O -3.46365 0.57792 1.98205
O 1.62212 4.53809 4.65498
O 0.99115 -2.06707 0.84014
O -1.30738 -4.68380 -1.22412
O -5.33708 -4.82956 0.80600
O -1.39091 1.91161 2.33510
O 8.63751 -0.78762 -1.03442
O 1.44253 0.40974 1.36471
N 5.89667 0.07841 0.24923
N 0.93426 5.58241 1.76599
N -4.73571 -3.81589 0.48560
N -4.25158 -2.86537 -3.37847
C -2.98922 -3.29214 4.04219
C 3.83253 -0.26181 -1.07659
C -3.91948 -5.01209 -4.75803
C 7.75977 -1.60577 -1.79722
C 0.59054 4.04262 3.79892
C 1.54215 5.93100 4.92898
C -0.34910 6.28833 1.86086
C -4.58987 -3.54117 -6.52877
C 5.06850 0.61902 -0.83531
C -0.17815 7.78566 1.56008
C -3.61185 -1.88681 4.61129
C 4.03813 -2.61673 -0.78644
C 0.88863 4.21248 2.29523
C -1.44524 -2.28326 1.44400
C 0.68428 -0.69486 1.30352
C -4.30706 -4.33278 -3.42871
C -0.23898 -4.05337 -0.43564
C -4.77670 0.12708 -4.97849
C -0.59857 -4.89037 3.06951
C -0.89807 -0.75020 1.81354
C -0.28575 -2.60433 0.31851
C 1.83406 8.86179 2.24206
C -2.05914 1.32032 -0.27646
C -2.89967 -2.32519 -3.56525
C 8.17940 0.55210 -0.84010
C 7.21545 0.71800 0.35239
C -2.93901 -0.80456 -3.78390
C -3.01580 -2.45441 0.96766
H 3.18952 0.24262 -1.81040
H 7.07286 -2.14050 -1.13634
H -0.58727 -1.87712 -0.57119
H -3.76655 -3.89357 3.38765
H -2.73319 -1.12787 4.75412
H 8.36480 -2.36123 -2.30970
H -1.05361 5.85444 1.14407
H 6.03822 -0.91427 0.09646
H 0.51110 6.29569 4.94888
H -3.22110 -1.96289 -0.10044
H -4.85853 -2.50135 -4.10504
H 1.80321 9.45885 1.32579
H 7.69935 0.28620 1.23785
H 0.16382 3.62940 1.71526
H -0.38580 4.44673 4.08516
H 3.02724 -2.63462 -0.36841
H -0.60736 -5.35621 1.99755
H -0.76048 -0.72064 2.99835
H -1.17515 8.24542 1.52846
H -5.17657 -2.73007 -6.09009
H -3.45498 -0.28933 -2.96678
H -2.29673 -2.54680 -2.67881
H -4.06732 -2.07480 5.69508
H -0.77697 6.19794 2.86321
H -5.53250 -0.58698 -4.64241
H 2.23693 9.48176 3.04745
H -4.94172 -3.67107 -7.55773
H 0.28768 7.95374 0.58329
H -2.88896 -4.79710 -5.05853
H 1.98672 6.10578 5.91449
H 1.87405 3.77195 2.09646
H -2.41162 -2.77306 -4.43540
H -5.34394 -4.61035 -3.19965
H -3.68922 -4.74152 -2.62069
H -4.75191 0.99004 -4.30643
H -4.46850 -1.49373 3.88416
H -2.79614 -3.97776 5.00007
H 7.20851 -1.03839 -2.55264
H 0.53706 2.96541 3.99683
H -1.90539 -0.43343 -3.80125
H -1.30659 -5.58073 3.73484
H -5.05502 0.47265 -5.97771
H 2.13805 6.49262 4.20509
H -3.52840 -3.27899 -6.56038
H 7.07941 1.78556 0.56099
H 0.46041 -4.93027 3.60301
H 4.77559 -2.58988 0.01946
H 4.19339 -3.53460 -1.35980
********
- Click “Tools” and then hover over the “Board” . After that click “Board Manager…”
- Install ESP-32 (If you already installed, you can skip this step)
- Click “Tools” and then hover over the “Board” . After that hover over the “ESP32 Arduino” and then select “DOIT ESP32 DEVKIT V1”
- Click “Tools” and then hover over the “Port”. After that choose your port (You can check your Port by searching it on Windows (Device Manager))
Part 1 — Blinking Internal LED
The steps required are:
1.Prepare ESP-32 board, micro USB cable type-B, and bread board.
2. Code your own “Blinking Program” (If you don’t want to make the program, You can use programs that are already available in the Arduino IDE, go to ‘File” and then hover over “Examples”. After that hover over “01.Basics” and the choose “Blink” program)
Explanation about the code:
First, we need to use a procedure to do the initialization , voids setup(), this procedure contains only one function
- pinMode(), to configure specific pins to behave as inputs or outputs.
In this case, LED_Built-in is an input
Second, we need to use a procedure to turn-on the Built-in LED which will blink repeatedly. void loop(), This procedure consists of 2 functions:
- digitalWrite() , used to give a HIGH or LOW value to the digital pin.
- delay(), used to delay the element that we will give action.
This program will turn on the LED for 1 second then turn off for 1 second repeatedly
*You can set the delay time as you wish, 1000 = 1 second
3. Connect Board to your Laptop/PC
4. Compile the program by clicking the “checklist” symbol
5. Upload your program by clicking the “right-arrow” symbol
Result :
Part 2 — Blinking External LED
The steps required are:
- Prepare ESP-32 board, micro USB cable type-B, bread board, LED, male to male cables, and resistor.
2. Make an electric circuit
- Connect the ground pin on ESP-32 to the negative rails of a bread board by using male-to-male jumper cable
- Connect the negative pin of the LED (the short leg) to the negative rails of a bread board. Put the 330 Ω resistor on the breadboard (place it anywhere you want)
- Connect the positive pin of the LED (the long leg) to the 330 Ω resistor
- Connect the the D5 pin (Digital-5) to the free-end of the resistor by using male-to-male jumper cable
“If the positive pin of the LED is on the terminal strips (as seen in the picture above), then connect the positive pin of the LED with the resistor horizontally”
**Inserted here: molecular data:**
____________
Entry 1:
56
Properties=species:S:1:pos:R:3 method="wB97M-V/def2-TZVPD" total_charge=-1 e_lumo_ha="0.0553 / 0.0690" multiplicity=2 s_squared=0.765 orbital_gap_ev="6.22 / 6.55" relative_energy_kcal_mol=57.3
Re 0.3833 1.6580 0.1877
C 3.4329 -4.2538 -2.7849
C 3.3233 -3.1754 -1.7377
C 2.6261 -3.4021 -0.5521
C 2.5011 -2.4026 0.4012
C 3.0768 -1.1529 0.1805
C 3.8239 -0.9333 -0.9684
C 3.9283 -1.9369 -1.9198
S 2.8161 0.0953 1.4536
O 1.7151 -0.4076 2.2378
O 4.0969 0.2767 2.0757
N 2.3033 1.4815 0.7713
C 3.2121 2.1267 -0.1828
C 2.7138 1.8444 -1.6188
O 3.4784 1.9330 -2.5654
O 1.4621 1.4975 -1.6504
H 2.5454 -4.8867 -2.7859
H 4.2962 -4.8956 -2.5868
H 3.5593 -3.8229 -3.7777
H 2.1701 -4.3711 -0.3769
H 1.9619 -2.5709 1.3249
H 4.3188 0.0111 -1.1530
H 4.4857 -1.7407 -2.8293
H 4.2446 1.8095 -0.0482
H 3.1643 3.2071 -0.0378
S -2.7737 4.7679 1.7201
As -0.8187 3.9952 2.1198
S 0.4584 3.9877 0.2716
S -0.8539 1.7465 2.1952
S 0.0058 4.9202 3.8005
N -0.1899 -0.5544 -0.0574
C -1.2987 -0.7619 -0.9995
C -2.3802 -1.6466 -0.3663
C -2.8968 -1.1409 1.0108
C -4.3287 -0.5921 1.1096
N -4.5163 0.7345 0.5434
C -3.9681 1.8347 1.1015
N -3.5828 1.8564 2.3739
N -3.8615 2.9445 0.3765
C -1.8718 0.5688 -1.4656
O -2.7761 0.5460 -2.3065
O -1.4062 1.6255 -0.9187
H 0.6207 -1.1029 -0.3123
H -0.4405 -0.8156 0.8874
H -0.9273 -1.2241 -1.9127
H -1.9298 -2.6289 -0.2100
H -3.1853 -1.7755 -1.0925
H -2.2271 -0.3648 1.4022
H -2.8421 -1.9754 1.7144
H -4.6207 -0.5561 2.1599
H -5.0296 -1.2634 0.6138
H -4.5102 0.7669 -0.4675
H -3.4392 0.9942 2.8666
H -2.9914 2.6540 2.6496
H -3.8401 2.8193 -0.6246
H -3.2180 3.6523 0.7601

=====

Entry 2:
68
Properties=species:S:1:pos:R:3 method="wB97M-V/def2-TZVPD" e_lumo_ha=-0.0342 multiplicity=1 orbital_gap_ev=7.50
C -0.2131 -3.2939 -2.0662
Si -0.8756 -1.6098 -2.6776
C -1.1709 -0.4527 -1.1815
C 0.3947 -0.6845 -3.7794
C 1.6670 -1.5061 -4.1349
C 2.7947 -1.5406 -3.0408
C 2.6700 -0.4991 -1.9141
C 3.7222 -0.8113 -0.8007
C 3.8644 0.3926 0.1839
C 3.3277 0.1068 1.6092
C 1.7746 -0.0991 1.6684
C 1.0045 1.0931 2.2008
C 0.3630 1.1085 3.4143
P 0.4218 -0.3745 4.5021
P 0.1396 0.2217 6.5732
O 0.3435 1.6447 6.8356
O 1.1739 -0.6062 7.5306
O -1.3740 -0.2099 7.0529
C -0.3820 2.2907 3.8812
C -0.5065 3.4435 3.1792
P -1.5014 4.8222 3.9406
N -3.1562 4.4211 3.5244
O -1.1970 6.2153 3.0920
C 0.1615 3.5070 1.8890
N 0.1662 4.5464 1.0778
S 1.0402 4.0718 -0.2307
N 1.3896 2.5658 0.2281
C 0.8864 2.3147 1.4350
C -2.5660 -1.7906 -3.5128
C -3.0277 -1.0307 -4.5946
C -4.3226 -1.2457 -5.0847
C -5.1746 -2.2003 -4.5358
C -4.7215 -2.9684 -3.4515
C -3.4380 -2.7590 -2.9656
H -0.9628 -4.0518 -2.3479
H 0.7353 -3.5790 -2.5436
H -0.0703 -3.2171 -0.9775
H -1.1802 0.6022 -1.5176
H -2.1315 -0.6632 -0.6823
H -0.3427 -0.5393 -0.4593
H -0.1435 -0.5298 -4.7403
H 0.6052 0.3293 -3.4028
H 1.4354 -2.5472 -4.4179
H 2.0986 -1.0428 -5.0432
H 2.9027 -2.5784 -2.6797
H 3.7435 -1.3151 -3.5659
H 2.8443 0.5081 -2.3277
H 1.6898 -0.4878 -1.4100
H 3.4958 -1.7594 -0.2835
H 4.6976 -0.9406 -1.3070
H 4.9094 0.7481 0.2318
H 3.2921 1.2299 -0.2518
____________
“You can add more LED…..so that means you have to use more cable and resistor. And don’t worry about the program code, because it will be similar … just add some input according to the number of LEDs”
“if you want the LED lights to glow brightly you have to use a resistor with a small resistance”
3. Code your own “Blinking Program”
Explanation about the code:
First, we have to declare a variable for the input, in this case I named it “ledPin” and has a value integer 5. “5” means where you have to connect the cable on the ESP-32 (So i have to connect the cable to pin D5)
Between two parts of the article: data records >
<<<
17
Properties=species:S:1:pos:R:3:nbo_charge:R:1 method="wB97M-V/def2-TZVPD" mol_weight_g_mol=96.2 max_force_ev_per_a=5.10 total_charge=+1 de_lowest_kcal_mol=105.7
C 0.528 -0.955 0.899 -0.0685
C -0.372 0.013 0.504 -0.1858
C -1.474 0.660 1.018 0.0391
C 0.521 0.593 -0.435 0.0854
C -2.222 1.717 0.379 -0.6954
C 1.724 -1.499 -1.126 -0.4603
N 1.499 -0.544 -0.123 -0.3993
H 0.332 -1.886 1.355 0.2445
H -1.906 0.289 1.995 0.2290
H 0.805 1.220 -1.259 0.2451
H -3.357 1.601 0.371 0.2813
H -1.805 1.881 -0.582 0.2213
H -2.061 2.776 0.913 0.2767
H 0.778 -1.968 -1.660 0.2598
H 2.537 -1.196 -1.837 0.2455
H 2.092 -2.416 -0.684 0.2417
H 2.379 -0.287 0.272 0.4399

17
Properties=species:S:1:pos:R:3:nbo_charge:R:1 method="wB97M-V/def2-TZVPD" mol_weight_g_mol=96.2 max_force_ev_per_a=4.47 total_charge=+1 de_lowest_kcal_mol=81.2
C 3.109 -1.791 0.310 -0.0796
C 2.328 -0.851 0.399 -0.1288
C -0.405 -0.213 0.000 0.2500
C 1.484 0.346 0.335 -0.0879
C 1.666 1.299 -0.749 -0.6565
C -2.809 -0.412 -0.321 -0.4438
N -1.602 -0.248 0.456 -0.4296
H 3.872 -2.540 0.139 0.2679
H 1.506 0.922 1.230 0.2457
H -0.422 -0.289 -1.074 0.1678
H 1.841 0.942 -1.805 0.2474
H 2.616 1.785 -0.485 0.2711
H 0.881 1.979 -0.717 0.2294
H -2.663 -1.120 -1.113 0.2428
H -3.606 -0.630 0.375 0.2465
H -3.114 0.617 -0.812 0.2456
H -1.690 -0.235 1.389 0.4120

17
Properties=species:S:1:pos:R:3:nbo_charge:R:1 method="wB97M-V/def2-TZVPD" mol_weight_g_mol=96.2 max_force_ev_per_a=6.11 total_charge=+1 de_lowest_kcal_mol=130.5
C 1.486 -1.342 0.110 -0.2814
C 2.307 -0.326 -0.088 0.5501
C 0.059 -1.286 0.216 -0.4347
C -0.580 -0.081 0.060 -0.0707
C 3.209 0.748 -0.028 -0.7648
C -2.781 1.032 -0.086 -0.4365
N -2.082 -0.276 -0.039 -0.5917
H 2.033 -2.248 -0.141 0.3206
H -0.560 -2.164 0.461 0.2166
H 4.289 0.208 -0.319 0.3518
H 3.239 1.176 0.916 0.2759
H 3.057 1.544 -0.737 0.2996
H -3.652 1.219 0.380 0.2264
H -2.105 1.752 0.451 0.2449
H -2.896 1.425 -1.154 0.2289
H -2.494 -0.776 -0.843 0.4376
H -2.531 -0.605 0.840 0.4277

17
Properties=species:S:1:pos:R:3:nbo_charge:R:1 method="wB97M-V/def2-TZVPD" mol_weight_g_mol=96.2 max_force_ev_per_a=4.93 total_charge=+1 de_lowest_kcal_mol=115.8
C -0.770 -0.783 0.099 -0.1909
C -1.324 0.436 0.175 0.1086
C -1.597 -1.773 -0.483 -0.2657
C -2.035 1.477 0.205 -0.4375
C 0.708 -0.868 0.595 -0.2490
C 1.272 0.994 -0.870 -0.1196
N 1.514 0.319 0.431 -0.5391
H -1.291 -2.823 -0.532 0.2108
H -2.509 -1.493 -0.819 0.2067
H -2.214 2.143 -0.607 0.2520
H -2.668 1.576 1.087 0.2502
H 0.839 -1.261 1.639 0.2506
H 1.263 -1.664 0.038 0.2395
H 1.750 0.707 -1.716 0.1955
H 1.205 2.025 -0.686 0.1855
H 1.175 0.937 1.095 0.4314
H 2.587 0.317 0.477 0.4709

17
Properties=species:S:1:pos:R:3:nbo_charge:R:1 method="wB97M-V/def2-TZVPD" mol_weight_g_mol=96.2 max_force_ev_per_a=3.14 total_charge=+1 de_lowest_kcal_mol=37.6
C -0.517 0.195 1.146 -0.4466
C 0.606 -2.461 -0.015 -0.1430
C 1.463 -2.118 0.899 -0.1157
C 1.106 -1.062 -0.218 -0.1254
C -0.078 0.986 -1.057 0.2918
C -1.052 2.060 -0.891 -0.7148
N 0.182 0.101 -0.120 -0.2441
>>>
Second, we need to use a procedure to do the initialization , voids setup(), this procedure contains only one function
- pinMode(), to configure specific pins to behave as inputs or outputs
In this case, ledPin is an input
Third, we need to use a procedure to turn on the Built-in LED which will flash repeatedly. void loop(), This procedure consists of 2 functions:
- digitalWrite() , used to give a HIGH or LOW value to the digital pin.
- delay(), used to delay the element that we will give action.
4. Connect Board to your Laptop/PC
5. Compile the program by clicking the “checklist” symbol
6. Upload your program by clicking the “right-arrow” symbol
Trouble I’m Facing: (This section will be written in Bahasa Indonesia)
Pada saat melaksanakan tugas ini, tentunya saya mengalami berbagai masalah.
- Masalah terkait instalasi USB to UART bridge, saat saya mencoba untuk mengecek apakah sudah ada (terhubung) USB to UART bridge pada laptop saya, tampilan yang terjadi adalah sebagai berikut
Dalam menyelesaikan masalah ini, saya mencoba untuk trial & error. Saya mencoba untuk uninstall dan re-install USB-to-UART bridgenya, setelah itu restart PC, dan akhirnya masalah ini dapat terselesaikan. (not recommended)
- Masalah terkait komponen, pada saat saya mengerjakan project part-2 dengan teman saya, kami cukup lama terhambat karena keteledoran kami. Kami terbalik menempatkan posisi kaki LED (kami menempatkan kaki LED (-) pada bagian (-) pada bread board) , sehingga saat program dijalankan lampu tersebut tidak menyala. Jadi intinya kalian harus perhatikan detail-detail seperti itu.
- Masalah terakhir mungkin pengetahuan terkait rangkaian listrik yang sudah melunak, sehingga sering dalam pengerjaan projek ini sering kali saya melakukan trial & error.
For troubleshooting, if you are having trouble with ESP-32 or Arduino IDE, you can click the following links:
ESP-32 has memory that stores programs that run on it, so that even if the micro USB has been removed from the PC and then you connect it again in PC, ESP32 can turn-on according to the last program compiled and uploaded. So if you want to turn-off the ESP-32 you have to create new file (file that consists of empty procedure), then compile and upload again.